-- Job --
Search the lines further below for the word "pos" and type out each line that has it.

-- Given --
┌──
83
Properties=species:S:1:pos:R:3:forces:R:3 method="wB97M-V/def2-TZVPD" max_force_ev_per_a=1.03 homo_lumo_gap_ev="6.222 / 6.537" mol_weight_g_mol=1056.5 charge=-1 multiplicity=2 energy_ha=-9702.637162
Re -0.1754 -1.6363 0.0899 0.0 0.0 -0.8
O 6.9338 -1.0884 -0.3031 0.1 0.0 -0.4
C 6.1539 -0.1271 -0.1932 -0.1 -0.2 1.0
O 6.3524 1.0696 0.0687 0.0 0.1 -0.3
C 4.6527 -0.5319 -0.1971 0.0 0.1 -0.3
C 4.2688 -1.8520 -0.3679 0.0 0.0 0.0
C 2.9311 -2.2010 -0.3296 0.0 -0.1 -0.1
N 1.9639 -1.3001 -0.1260 -0.1 0.1 0.1
C 2.3309 -0.0065 0.0205 0.0 0.0 0.1
C 3.6436 0.4080 -0.0094 0.0 0.0 0.0
C 1.1958 0.9346 0.3015 0.1 -0.1 0.0
O 1.3309 2.1147 0.5039 0.0 0.0 0.0
O 0.0326 0.3115 0.3577 -0.1 0.4 0.1
H 5.0389 -2.5963 -0.5195 0.0 0.0 0.0
H 2.6159 -3.2257 -0.4584 0.0 0.0 0.0
H 3.8974 1.4506 0.1245 0.0 0.0 0.0
O -3.8036 -0.7298 -1.3909 0.0 0.0 0.0
S -2.8286 -1.7444 -1.1235 0.4 0.0 0.0
O -2.2146 -1.6160 0.2979 -0.2 -0.1 0.3
O -3.2055 -3.1094 -1.3567 -0.1 0.0 -0.2
S -0.9387 -1.3572 -2.0203 0.1 -0.2 -0.1
C 4.9586 -7.1797 -0.1360 0.0 0.0 0.0
C 3.6659 -6.4234 -0.0011 0.0 0.0 0.0
C 3.2487 -5.9239 1.2229 0.0 0.0 0.0
C 2.0617 -5.2095 1.3614 0.0 0.0 0.0
C 1.6726 -4.6763 2.7107 0.0 0.0 0.1
C 1.2764 -4.9913 0.2285 -0.1 0.0 -0.1
Se -0.4062 -4.0579 0.3616 0.1 0.0 0.4
C 1.6688 -5.4873 -1.0220 0.0 0.0 0.0
C 0.8575 -5.2456 -2.2652 0.0 0.0 0.0
C 2.8596 -6.1974 -1.1105 0.1 0.0 0.0
H 5.5285 -7.1550 0.7921 0.0 0.0 0.0
H 5.5808 -6.7515 -0.9230 0.0 0.0 0.0
H 4.7767 -8.2252 -0.3930 0.0 0.0 0.0
H 3.8710 -6.0746 2.0985 0.0 0.0 0.0
H 2.4430 -4.9038 3.4476 0.0 0.0 0.0
H 0.7286 -5.1093 3.0492 0.0 0.0 0.0
H 1.5333 -3.5958 2.6810 0.0 0.1 0.0
H 0.4335 -4.2410 -2.2859 0.0 0.0 0.0
H 0.0183 -5.9425 -2.3274 0.0 0.0 0.0
H 1.4746 -5.3804 -3.1533 0.0 0.0 0.0
H 3.1781 -6.5613 -2.0819 0.0 0.0 0.0
C -3.9425 5.3917 0.9425 0.0 0.0 0.0
Ge -4.9228 4.0592 -0.1099 0.0 0.0 0.0
C -4.4024 4.1781 -1.9904 0.0 0.0 0.0
C -6.8545 4.4006 0.0460 0.0 0.0 0.0
C -4.4862 2.2709 0.5695 0.0 0.1 0.0
Se -2.5832 1.8615 0.3484 0.0 0.0 0.0
C -2.0012 2.3708 2.1289 0.1 0.1 0.0
H -4.1378 6.3982 0.5704 0.0 0.0 0.0
H -2.8706 5.2039 0.8733 0.0 0.0 0.0
H -4.2378 5.3520 1.9921 0.0 0.0 0.0
H -4.5833 5.1827 -2.3750 0.0 0.0 0.0
H -4.9723 3.4694 -2.5922 0.0 0.0 0.0
H -3.3432 3.9470 -2.0987 0.0 0.0 0.0
H -7.1084 5.3850 -0.3495 0.0 0.0 0.0
H -7.1729 4.3597 1.0886 0.0 0.0 0.0
H -7.4193 3.6527 -0.5117 0.0 0.0 0.0
H -5.0335 1.4922 0.0372 0.0 0.0 0.0
H -4.7245 2.1730 1.6301 0.0 0.0 0.0
H -2.3282 3.3786 2.3784 0.0 0.0 0.0
H -0.9125 2.3436 2.1128 0.0 0.0 0.0
H -2.3791 1.6685 2.8738 0.0 0.0 0.0
N -5.6926 -0.2329 8.9238 0.0 0.0 0.0
C -4.8803 -0.3367 8.1179 -0.1 0.0 0.0
C -3.8642 -0.4653 7.1115 0.1 0.0 -0.1
C -2.5314 -0.6144 7.4868 0.0 0.0 0.0
C -1.5532 -0.7496 6.5200 0.0 0.0 0.0
C -1.9068 -0.7227 5.1770 0.0 0.0 0.0
C -3.2332 -0.5575 4.7935 0.0 0.0 0.0
C -4.2117 -0.4401 5.7625 0.0 0.0 0.0
N -0.9075 -0.8548 4.1850 0.0 -0.1 0.0
C 0.3977 -0.3948 4.2415 0.0 0.1 0.0
C 0.9569 -0.6991 3.0461 0.1 -0.1 0.0
N 0.0260 -1.3501 2.2676 -0.2 -0.1 0.2
C -1.0763 -1.4266 2.9730 0.0 0.1 0.0
H -2.2672 -0.6372 8.5348 0.0 0.0 0.0
H -0.5212 -0.8982 6.8054 0.0 0.0 0.0
H -3.4973 -0.4958 3.7457 0.0 0.0 0.0
H -5.2457 -0.3113 5.4748 0.0 0.0 0.0
H 0.7784 0.1437 5.0896 0.0 0.0 0.0
H 1.9512 -0.4859 2.6915 0.0 0.0 0.0
H -1.9944 -1.8701 2.6248 0.0 0.0 0.0

77
Properties=species:S:1:pos:R:3:forces:R:3 method="wB97M-V/def2-TZVPD" max_force_ev_per_a=1.21 homo_lumo_gap_ev=5.926 mol_weight_g_mol=910.3 charge=-1 energy_ha=-2810.275991
In 0.4393 -0.6721 0.1234 0.1 0.0 0.3
I 6.9478 4.0732 1.1808 -0.2 -0.2 -0.1
C 5.5574 2.5426 0.7488 0.3 0.3 0.1
C 5.8895 1.2210 0.9989 0.0 0.1 0.0
C 4.9574 0.2478 0.7107 -0.2 -0.5 0.0
I 5.4211 -1.7736 1.0816 0.1 0.3 0.0
C 3.6682 0.5012 0.1597 0.4 0.2 0.1
O 2.8472 -0.4397 -0.1171 -0.7 -0.3 0.0
C 3.3967 1.8808 -0.0832 -0.2 -0.1 0.1
C 2.0301 2.2336 -0.5973 0.2 -0.1 -0.1
N 0.9935 1.7585 0.3284 -0.5 -0.4 -0.3
C 1.0819 2.3051 1.6726 0.0 0.0 0.0
C 0.7298 1.3173 2.7539 0.0 0.1 0.1
C 0.8469 1.6959 4.0894 0.0 0.0 0.0
C 0.4569 0.8134 5.0759 0.0 0.0 -0.1
└──

-- Result --
Properties=species:S:1:pos:R:3:forces:R:3 method="wB97M-V/def2-TZVPD" max_force_ev_per_a=1.03 homo_lumo_gap_ev="6.222 / 6.537" mol_weight_g_mol=1056.5 charge=-1 multiplicity=2 energy_ha=-9702.637162
Properties=species:S:1:pos:R:3:forces:R:3 method="wB97M-V/def2-TZVPD" max_force_ev_per_a=1.21 homo_lumo_gap_ev=5.926 mol_weight_g_mol=910.3 charge=-1 energy_ha=-2810.275991